Estate Planning Lawyer Baton Rouge, LA

When it comes to protecting your assets and making sure your family is taken care of in the event of your death, having an experienced Baton Rouge, LA estate planning lawyer can be invaluable. Estate planning is a complex area of the law, and it’s important to have a qualified professional on your side to help you make sure that your wishes are followed. Learn what an estate planning lawyer can do for you and why it’s so important to have one in your corner; then, contact a lawyer at Theus Law Offices for help today.

estate planning lawyer

What Is Estate Planning

Estate planning is a crucial process that involves the preparation of tasks to manage an individual’s asset base in the event of their incapacitation or death. The planning includes the bequest of assets to heirs and the settlement of estate taxes. Most estate plans are set up with the assistance of an attorney experienced in estate law.

Estate planning is more than just writing a will. Done effectively, it organizes assets and responsibilities in a way that addresses an individual’s personal circumstances. As life changes, for example, through marriage, divorce, or the birth of children, the estate plan should evolve to reflect these adjustments.

Key Components of Estate Planning

  • Wills and Trusts: A will is a legal document dictating the distribution of assets upon death. A trust can be used to begin distributing assets before death, at death, or afterwards.
  • Power of Attorney: This allows a trusted person to act in an individual’s stead for legal or financial decisions.
  • Beneficiary Designations: Determines who will receive specific assets, such as life insurance policies or retirement accounts.
  • Guardianship Designations: For those with minor children, this is an important part of the will, allowing for the designation of a guardian.
  • Healthcare Power of Attorney: Appoints someone to make medical decisions if the individual is unable to do so.

The Importance of Estate Planning

Without a proper estate plan, the courts will often decide who gets your assets, a process that can take years, rack up fees, and get ugly. By planning your estate, you can maximize your legacy, minimizing taxes and ensuring that your beneficiaries are taken care of in the best possible way.

In Baton Rouge, Theus Law Offices provides expert guidance for estate planning. Our team of experienced Baton Rouge estate planning lawyers understands that each individual’s situation is unique. We work closely with our clients to develop personalized estate plans that reflect their specific needs and goals.

What Happens If I Don’t Have an Estate Plan

Estate planning is an essential aspect of managing your financial life, ensuring your assets are distributed according to your wishes after your passing. However, many individuals often overlook this crucial step, not realizing the potential consequences of not having an estate plan in place. Theus Law Offices, with a wealth of experience in estate law, emphasizes the importance of having a well-crafted estate plan.

The State Decides on Asset Distribution

Without an estate plan, state laws, known as intestacy laws, will determine how your assets are distributed. Intestacy laws vary by state and generally distribute assets to your closest relatives, such as your spouse, children, or parents. This one-size-fits-all approach may not align with your personal wishes and could lead to outcomes you never intended.

Potential for Family Conflicts

When there is no clear directive on how to distribute your assets, conflicts can arise among family members. These disputes can be emotionally draining and can lead to lasting rifts within the family. By having an estate plan, you provide clear guidance, which can help prevent misunderstandings and disputes among your loved ones.

Guardianship Issues

For those with minor children, an estate plan allows you to appoint a guardian. Without an estate plan, the court will decide who will care for your children if both parents are deceased or incapacitated. This decision may not reflect your desires or your children’s best interests.

Probate Delays and Expenses

Without an estate plan, your estate will go through probate, a legal process that can be time-consuming and expensive. Probate involves validating your will, paying off debts and taxes, and distributing the remaining assets. This process can take months or even years, during which time your beneficiaries may not have access to your assets.

Increased Tax Burdens

A well-crafted estate plan can help minimize the tax burden on your estate. Without proper planning, your estate may incur higher taxes, diminishing the value of the assets passed on to your beneficiaries.

Loss of Control Over Healthcare Decisions

An estate plan often includes directives for your healthcare in the event you become incapacitated. Without these directives, decisions about your medical care will be made by family members or a court-appointed guardian. This may lead to choices that are not in line with your wishes.

At Theus Law Offices, we understand the complexities of estate planning. We’re committed to helping you navigate these challenges, ensuring your wishes are respected, and your loved ones are cared for. Our team of experienced attorneys specializes in creating tailored estate plans that reflect your unique circumstances and goals.

If you haven’t already set up an estate plan, we at Theus Law Offices encourage you to take action now. Don’t leave the future of your assets and the well-being of your loved ones to chance. Contact us for a consultation, and let our team guide you through the process of securing a comprehensive and effective estate plan.

How Often Should I Update My Estate Plan

Estate planning is not a one-time event but an ongoing process. As life changes, so should your estate plan. At Theus Law Offices, we emphasize the importance of regularly reviewing and updating your estate plan to ensure it continues to reflect your current circumstances and wishes.

Life Events Triggering an Estate Plan Review

  • Marriage or Divorce: Changes in marital status are significant triggers for updating an estate plan. New marriages may mean adding a spouse as a beneficiary, while divorce might necessitate removing a former spouse from your will or trust.
  • Birth or Adoption of a Child: The arrival of a new family member means considering guardianship issues and adjusting how your assets will be distributed.
  • Death of a Beneficiary or Executor: The death of someone named in your will can significantly impact how your estate will be managed and distributed.
  • Changes in Relationships: Over time, your relationships with friends, family, and chosen executors or trustees might change, necessitating a review of your estate plan.
  • Significant Financial Changes: If you experience a substantial increase or decrease in your assets, it’s vital to reassess how your estate is structured.
  • Changes in Tax Laws: Tax laws are constantly evolving, and changes can impact your estate plan. Regular reviews ensure your plan is as tax-efficient as possible.
  • Health Changes: A decline in your health or that of a beneficiary can necessitate changes in your estate plan, particularly concerning powers of attorney and healthcare directives.

The Recommended Frequency of Estate Plan Reviews

While there’s no one-size-fits-all answer, a general rule of thumb is to review your estate plan every three to five years. However, if any of the aforementioned life events occur, you should review your plan as soon as possible. Regular reviews ensure that your estate plan aligns with your current goals, family dynamics, and financial situation.

At Theus Law Offices, we provide expert guidance in estate planning and regularly assist clients in updating their estate plans. Our team understands that life is dynamic, and we are here to ensure your estate plan evolves with you. We offer personalized consultations to review your current estate plan and make recommendations based on the latest legal standards and your specific needs.

What are the benefits of having beneficiaries

Designating beneficiaries is a fundamental aspect of financial and estate planning. This process involves specifying individuals or entities who will receive your assets upon your death. Theus Law Offices, with its expertise in estate planning, highlights the significant benefits of having beneficiaries as part of your overall plan.

Streamlined Asset Distribution

This record from Alexandria via LeMat-Bulk describes a relaxed structure of NiPtCO5. The functional is PBE+U.

Output
electronic total energy = -6.034 eV per atom

a b c (Å): 5.0795 5.0795 7.1094
angles (deg): 106.48 106.48 100.92
With the nearest neighbours (Å) after each atom.
Element x y z (fractional)
O1 0.2795 0.4073 0.5941  1 C 1.47
O2 0.8861 0.1139 0.7500  1 Ni 1.86, 2 Pt 1.99
O3 0.1139 0.8861 0.2500  1 Ni 1.86, 2 Pt 1.99
O4 0.3397 0.8952 0.6640  1 C 1.37
O5 0.7205 0.5927 0.4059  1 C 1.47
O6 0.1048 0.6603 0.8360  1 C 1.37
O7 0.4073 0.2795 0.0941  1 C 1.47
O8 0.5927 0.7205 0.9059  1 C 1.47
O9 0.6603 0.1048 0.3360  1 C 1.37
O10 0.8952 0.3397 0.1640  1 C 1.37
Ni1 0.6484 0.3516 0.7500  3 O 1.86-2.01
Ni2 0.3516 0.6484 0.2500  3 O 1.86-2.01
Pt1 0.0000 0.0000 0.5000  6 O 1.99-2.08
Pt2 0.0000 0.0000 0.0000  6 O 1.99-2.08
C1 0.3145 0.6855 0.7500  4 O 1.37-1.47
C2 0.6855 0.3145 0.2500  4 O 1.37-1.47


[1]
Material: In3HPt
Method: DFT, PBE-GGA
State: optimized geometry Values from VASP.

Summary:
E above lowest polymorph: 0.0 kJ/mol of atoms

Cell and atoms, written as Quantum ESPRESSO input:
```
&SYSTEM
  ibrav = 0, nat = 5, ntyp = 3
/
ATOMIC_SPECIES
In 114.82 In.upf
H 1.01 H.upf
Pt 195.08 Pt.upf
CELL_PARAMETERS angstrom
5.176 0.000 0.000
0.000 5.176 0.000
0.000 0.000 5.176
ATOMIC_POSITIONS crystal
In 0.500 0.000 0.000
H 0.500 0.500 0.500
In 0.000 0.500 0.000
Pt 0.000 0.000 0.000
In 0.000 0.000 0.500
```

---

[2]
Material: InHPt2
Method: DFT, PBE-GGA
State: optimized geometry Values from VASP.

Summary:
E above lowest polymorph: 51.1 kJ/mol of atoms

Cell and atoms, written as Quantum ESPRESSO input:
```
&SYSTEM
  ibrav = 0, nat = 4, ntyp = 3
/
ATOMIC_SPECIES
In 114.82 In.upf
Pt 195.08 Pt.upf
H 1.01 H.upf
CELL_PARAMETERS angstrom
-3.325 -2.500 1.417
-3.758 1.872 1.300
-3.627 -0.424 -2.445
ATOMIC_POSITIONS crystal
In 0.500 0.500 0.500
Pt 0.250 0.250 0.250
Pt 0.750 0.750 0.750
H 0.000 0.000 0.000
```

---

[3]
Material: InHPt2
Method: DFT, PBE-GGA
State: optimized geometry Values from VASP.

Summary:
E above lowest polymorph: 35.2 kJ/mol of atoms

Cell and atoms, written as Quantum ESPRESSO input:
```
&SYSTEM
  ibrav = 0, nat = 4, ntyp = 3
/
ATOMIC_SPECIES
In 114.82 In.upf
Pt 195.08 Pt.upf
H 1.01 H.upf
CELL_PARAMETERS angstrom
-2.608 -0.760 -1.060
-2.093 -0.931 1.804
-4.093 6.854 1.146
ATOMIC_POSITIONS crystal
In 0.000 0.000 0.000
Pt 0.886 0.886 0.342
H 0.500 0.500 0.500
Pt 0.114 0.114 0.658
```

---

> Among the records above, which one has the highest E above lowest polymorph?

number 2

---

> E above lowest polymorph of number 3 (InHPt2)?

35.2 kJ/mol of atoms

---

> E above lowest polymorph of number 2 (InHPt2)?

51.1 kJ/mol of atoms

---

> What is the formula in the third record?

InHPt2


Entry 1:
Computed, not measured: BaLaPt3 after structural relaxation at the GGA-PBE level of DFT.

Cell: 5.374 5.374 5.374 Å, 90.00 90.00 90.00°
Element x y z (fractional)
Ba 0.000 0.000 0.000
Pt 0.000 0.500 0.000
Pt 0.000 0.000 0.500
Pt 0.500 0.000 0.000

When you name beneficiaries, you provide a clear roadmap for distributing your assets. This direct transfer to beneficiaries can often bypass the probate process, allowing for a more efficient and faster distribution of assets. Probate can be a lengthy and public process, so bypassing it not only saves time but also preserves privacy.

Minimized Family Disputes

One of the most significant benefits of naming beneficiaries is the reduction of potential conflicts among family members. Clearly designated beneficiaries eliminate ambiguity about who receives what, reducing the likelihood of disputes among heirs. This clarity can help maintain family harmony after your passing.

Control Over Your Legacy

By naming beneficiaries, you exercise control over your legacy. You decide who benefits from your life’s work, ensuring that your assets are distributed according to your wishes. This control is particularly important in complex family situations, such as those involving stepchildren, previous marriages, or charitable intentions.

Potential Tax Benefits

In certain cases, naming beneficiaries can provide tax advantages. For example, when life insurance proceeds are paid directly to a named beneficiary, they generally are not subject to income tax. Retirement accounts and other financial instruments may also have tax benefits when beneficiaries are properly designated.

Protection of Beneficiaries’ Interests

The article is interrupted by data records =
____________
Below is a geometry-optimized YZr2ReOs structure, with properties calculated at the PBEsol level.

```
YZr2ReOs
1.0
4.887 0.000 0.000
0.000 4.887 0.000
0.000 0.000 5.135
Y Zr Re Os
1 2 1 1
Direct
0.000 0.000 0.000
0.000 0.500 0.500
0.500 0.000 0.500
0.500 0.500 0.000
0.000 0.000 0.500
```

## Properties
Final energy ... -45.23 eV per formula unit
Space-group type ... P4/mmm (123)

Below is a geometry-optimized ZnRe2Os structure, with properties calculated at the PBEsol level.

```
ZnRe2Os
1.0
4.553 0.000 0.000
0.000 4.553 0.000
0.000 0.000 2.756
Zn Re Os
1 2 1
Direct
0.000 0.000 0.000
0.000 0.500 0.500
0.500 0.000 0.500
0.500 0.500 0.000
```

## Properties
Final energy ... -38.53 eV per formula unit
Space-group type ... P4/mmm (123)

Below is a geometry-optimized Zn2ReOs structure, with properties calculated at the PBEsol level.

```
Zn2ReOs
1.0
1.404 -2.301 0.000
1.404 2.301 0.000
0.000 0.000 8.861
Zn Re Os
2 1 1
Direct
0.000 0.000 0.000
0.500 0.500 0.246
0.000 0.000 0.503
0.500 0.500 0.747
```

## Properties
Relative energy among the computed polymorphs ... 0.96 eV/f.u.
Space-group type ... Cmm2 (35)

no.,mass density (g cm⁻³)
1,8.77
2,18.26
3,14.71

----------

Record 1
A relaxed RbPt4Pb4 crystal. Source: the Alexandria database, functional PBE.

As for the formation energy: -0.217 eV/atom. The total energy comes out at -83.8 eV/cell.

abc: 9.425 9.425 5.571
angles: 90.00 90.00 90.00
Space group P4_2/n (No. 86, origin choice 2)
Asymmetric unit:
Rb (0.250, 0.250, 0.250) (multiplicity 2)
Pt (0.078, 0.578, 0.656) (multiplicity 8)
Pb (0.116, 0.625, 0.149) (multiplicity 8)


Record 2
A relaxed RbPt2Pb2 crystal. Source: the Alexandria database, functional PBE.

As for the formation energy: -0.048 eV/atom. The total energy comes out at -41.4 eV/cell.

abc: 8.663 8.663 3.367
angles: 90.00 90.00 90.00
Space group P4/mbm (No. 127)
Asymmetric unit:
Rb (0.000, 0.000, 0.000) (multiplicity 2)
Pt (0.132, 0.368, 0.000) (multiplicity 4)
Pb (0.146, 0.646, 0.500) (multiplicity 4)


Copy entry 2 word for word.
A relaxed RbPt2Pb2 crystal. Source: the Alexandria database, functional PBE.

As for the formation energy: -0.048 eV/atom. The total energy comes out at -41.4 eV/cell.

abc: 8.663 8.663 3.367
angles: 90.00 90.00 90.00
Space group P4/mbm (No. 127)
Asymmetric unit:
Rb (0.000, 0.000, 0.000) (multiplicity 2)
Pt (0.132, 0.368, 0.000) (multiplicity 4)
Pb (0.146, 0.646, 0.500) (multiplicity 4)


> Which of these has the highest total energy?

RbPt2Pb2


Copy entry 1 word for word.
A relaxed RbPt4Pb4 crystal. Source: the Alexandria database, functional PBE.

As for the formation energy: -0.217 eV/atom. The total energy comes out at -83.8 eV/cell.

abc: 9.425 9.425 5.571
angles: 90.00 90.00 90.00
Space group P4_2/n (No. 86, origin choice 2)
Asymmetric unit:
Rb (0.250, 0.250, 0.250) (multiplicity 2)
Pt (0.078, 0.578, 0.656) (multiplicity 8)
Pb (0.116, 0.625, 0.149) (multiplicity 8)
____________

Designating beneficiaries can also provide a level of protection for their interests. For example, in the case of minor children, you can establish trusts as part of your beneficiary designations, ensuring that the assets are managed responsibly until the children are of age.

Flexibility and Ease of Changes

Another benefit of naming beneficiaries is the ease with which you can update your designations. Life changes such as marriage, divorce, births, and deaths necessitate updates to your beneficiary designations. Most financial accounts and policies allow you to change your beneficiaries without the need for a legal process, making it a flexible part of your estate plan.

At Theus Law Offices, we understand the importance of correctly designating beneficiaries in your estate plan. Our team provides comprehensive guidance on how to effectively integrate beneficiary designations into your overall estate strategy, ensuring your wishes are fulfilled and your beneficiaries are protected.

5 Myths About Estate Planning

There are several myths and misconceptions surrounding estate planning that can lead to confusion or poor decision-making, which is why it’s important to have an experienced Baton Rouge, LA estate planning lawyer that will help you avoid mistakes. Below, we have debunked five common myths about estate planning, providing you with accurate information to make informed decisions.

Estate Planning is Only for the Wealthy

One common myth is that estate planning is only necessary for individuals with substantial wealth. In reality, Baton Rouge estate planning lawyers can be essential for individuals of all financial backgrounds. Estate planning allows you to specify your healthcare preferences, designate guardians for minor children, and distribute your assets according to your wishes. Regardless of the size of your estate, having a proper estate plan ensures that your loved ones are protected and your wishes are honored.

Estate Planning is Only About Creating a Will

While creating a will is an integral part of estate planning, it is not the only document involved. Estate planning encompasses various legal instruments, including trusts, powers of attorney, advance healthcare directives, and beneficiary designations. These tools enable you to address specific aspects of your estate, such as managing assets during incapacity, reducing estate taxes, and providing for long-term care. A comprehensive estate plan considers your unique circumstances and goals, providing a holistic approach to protect your interests.

Estate Planning is Only for Older Individuals

Another common myth is that estate planning is only necessary for older individuals or those in poor health. However, accidents and unexpected events can occur at any age, making it never too early to  contact a Baton Rouge estate planning lawyer.. Regardless of your age or health status, having an estate plan in place ensures that your loved ones are provided for and your wishes are carried out if the unexpected happens. Estate planning is a proactive step that provides peace of mind and protects your interests at any stage of life.

Estate Planning is a One-Time Event

Some individuals mistakenly believe that estate planning is a one-time event and that once a plan is created, it does not require further attention. In reality, estate planning is an ongoing process that should be reviewed and updated periodically to reflect changes in your life circumstances. Life events such as marriage, divorce, birth of children, changes in financial status, or the acquisition of new assets may necessitate revisions to your estate plan. Regularly reviewing and updating your plan ensures that it remains relevant and aligned with your current wishes and objectives.

Estate Planning is Only About Passing on Assets

Many people believe that estate planning is solely focused on passing on financial assets to beneficiaries. While asset distribution is a significant aspect of estate planning, it encompasses much more. Estate planning also includes planning for healthcare decisions, appointing guardians for minor children, establishing trusts for loved ones, and protecting your interests during incapacity. It allows you to outline your wishes regarding end-of-life care, designate someone to manage your affairs if you become incapacitated, and provide for the well-being of your loved ones beyond financial matters.

Baton Rouge Estate Planning Infographic

5 Myths About Estate Planning Infographic

Estate Planning FAQ

If you are thinking about securing your assets and ensuring that your loved ones are taken care of after you pass away, then you’ll want to work with a Baton Rouge estate planning lawyer. Our professionals can help you navigate the complex legal system, ensure that your assets are distributed according to your wishes, and provide peace of mind for you and your family. Here are some frequently asked questions about estate planning lawyers in Baton Rouge:

What is an advance directive?

As a Baton Rouge, LA estate planning lawyer can explain, an advance directive is a type of legal document that allows a person to explain their preferences regarding their healthcare and who can make decisions on their medical treatment if they become incapacitated. It encompasses instructions for end-of-life care, resuscitation, pain management, and organ donation. By creating an advance directive, individuals can ensure their healthcare wishes are respected and followed, providing peace of mind to both themselves and their loved ones during challenging and emotional times. It also relieves the burden on family members, who may otherwise have to make difficult decisions without clear guidance.

How can I reduce estate taxes?

Estate taxes can be a significant concern for individuals with substantial assets. To reduce estate taxes, it is essential to employ various estate planning strategies. One commonly used strategy is making lifetime gifts to reduce the overall value of your estate. By gifting assets to family members or loved ones during your lifetime, you can decrease the taxable value of your estate, potentially lowering the tax burden for your heirs. These trusts also allow certain tax advantages and let you retain control of your assets while you are alive. Furthermore, taking advantage of annual gift tax exclusions and maximizing the use of applicable tax deductions and exemptions can further minimize the impact of estate taxes. 

What can I do to avoid probate?

Probate is a legal process that validates a deceased person’s will and ensures the proper distribution of their assets. As a Baton Rouge estate planning lawyer like one from Theus Law Offices can go into more detail about, there are several ways to avoid it. One common method is establishing a revocable living trust, which allows you to transfer assets into the trust and designate beneficiaries. As the assets are held within the trust, they can be distributed according to your wishes without going through probate. Additionally, jointly owning assets, designating beneficiaries for retirement accounts and life insurance policies, and utilizing payable-on-death (POD) or transfer-on-death (TOD) designations can also bypass probate.

What are the risks of not hiring an estate planning lawyer?

Not hiring an estate planning lawyer poses several risks. Estate planning involves complex legal matters, and without professional guidance, you may make critical errors that could have long-lasting consequences. DIY estate plans or using generic templates may not account for your specific circumstances and can leave gaps or ambiguities in your documents, leading to legal disputes or invalidation. If you need help from an experienced lawyer to give you specific legal advice, review your documents, explain your full legal rights, and ensure that you have everything necessary to complete your plan, contact a lawyer who understands estate planning for more information now. 

Contact Our Baton Rouge Estate Planning Lawyer today!

For those residing in Baton Rouge, the maze of estate planning, though layered, doesn’t have to be daunting. The seasoned legal team at Theus Law Offices is well-versed in the nuances of Baton Rouge estate planning. With our experienced assistance at your side, you can confidently craft an estate plan that not only echoes your wishes but is also robust enough to weather any legal challenges. Reach out to our Baton Rouge estate planning lawyer team today, and let’s embark on this journey together, ensuring your legacy is both protected and celebrated.